AD590 based Temperature Sensor
-- begin --
(1)
Material: ZnTe
Method: DFT, PBE
State: relaxed

Computed properties:
uncorrected energy	-2.6747	eV per atom
E_form	-0.6842	eV per atom
calculated volume	29.57	A^3/atom
energy with MP2020 corrections	-23.086	eV/cell
maximum piezoelectric response	0.1	C/m²

a b c (Å): 6.185 6.185 6.185
angles (deg): 90.00 90.00 90.00
Space group F-43m (No. 216)
Unique sites:
Zn (0.000, 0.000, 0.000) (multiplicity 4)
Te (0.250, 0.250, 0.750) (multiplicity 4)

(2)
Material: K30Ga9As19
Method: DFT, PBE
State: relaxed

Computed properties:
uncorrected energy	-3.0502	eV per atom
E_form	-0.4797	eV per atom
calculated volume	34.00	A^3/atom
magnetization	0.00	μB/f.u.

a b c (Å): 29.3730 29.3730 15.8360
angles (deg): 90.00 90.00 120.00
Space group R-3 (No. 148, hexagonal axes)
Unique sites:
K (0.0001, 0.3333, 0.0833) (multiplicity 18)
K (0.0524, 0.4939, 0.4167) (multiplicity 18)
K (0.0531, 0.4943, 0.0834) (multiplicity 18)
K (0.0531, 0.4944, 0.7499) (multiplicity 18)
K (0.0535, 0.8300, 0.2500) (multiplicity 18)
K (0.0531, 0.8300, 0.5830) (multiplicity 18)
K (0.0531, 0.8300, 0.9173) (multiplicity 18)
K (0.0576, 0.1237, 0.0773) (multiplicity 18)
K (0.0576, 0.1237, 0.4225) (multiplicity 18)
K (0.0592, 0.1277, 0.7502) (multiplicity 18)
Ga (0.0182, 0.2611, 0.2501) (multiplicity 18)
Ga (0.0183, 0.2619, 0.5842) (multiplicity 18)
Ga (0.0185, 0.2619, 0.9157) (multiplicity 18)
As (0.0000, 0.0000, 0.0000) (multiplicity 3)
As (0.0000, 0.0000, 0.5000) (multiplicity 3)
As (0.0188, 0.5919, 0.0833) (multiplicity 18)
As (0.0194, 0.5922, 0.4165) (multiplicity 18)
As (0.0193, 0.5924, 0.7502) (multiplicity 18)
As (0.0367, 0.1900, 0.2500) (multiplicity 18)
As (0.0368, 0.1912, 0.5847) (multiplicity 18)
As (0.0369, 0.1911, 0.9152) (multiplicity 18)

~~~~~

No. 1
Entry from Materials Project: a relaxed Ba2EuSbO6 crystal (PBE).

Cell and atoms, written as CIF:
```
data_Ba2EuSbO6
_cell_length_a 8.6231
_cell_length_b 8.6231
_cell_length_c 8.6231
_cell_angle_alpha 90.00
_cell_angle_beta 90.00
_cell_angle_gamma 90.00
_symmetry_space_group_name_H-M 'P 1'
_symmetry_Int_Tables_number 1
_symmetry_space_group_name_Hall 'P 1'
loop_
_atom_site_label
_atom_site_type_symbol
_atom_site_fract_x
_atom_site_fract_y
_atom_site_fract_z
Ba1 Ba 0.2500 0.2500 0.2500
Ba2 Ba 0.2500 0.2500 0.7500
Ba3 Ba 0.2500 0.7500 0.2500
Ba4 Ba 0.2500 0.7500 0.7500
Ba5 Ba 0.7500 0.2500 0.2500
Ba6 Ba 0.7500 0.2500 0.7500
Ba7 Ba 0.7500 0.7500 0.2500
Ba8 Ba 0.7500 0.7500 0.7500
Eu1 Eu 0.0000 0.0000 0.0000
Eu2 Eu 0.0000 0.5000 0.5000
Eu3 Eu 0.5000 0.0000 0.5000
Eu4 Eu 0.5000 0.5000 0.0000
Sb1 Sb 0.0000 0.0000 0.5000
Sb2 Sb 0.0000 0.5000 0.0000
Sb3 Sb 0.5000 0.0000 0.0000
Sb4 Sb 0.5000 0.5000 0.5000
O1 O 0.0110 0.5115 0.7662
O2 O 0.0110 0.9885 0.7338
O3 O 0.0115 0.2338 0.5110
O4 O 0.0115 0.2662 0.9890
O5 O 0.2338 0.5110 0.0115
O6 O 0.2338 0.9890 0.4885
O7 O 0.2662 0.5110 0.4885
O8 O 0.2662 0.9890 0.0115
O9 O 0.4885 0.2338 0.9890
O10 O 0.4885 0.2662 0.5110
O11 O 0.4890 0.5115 0.7338
O12 O 0.4890 0.9885 0.7662
O13 O 0.5110 0.0115 0.2338
-- stop --
(End of the materials data)

Learn how to use the AD590 to measure environment temperatures for display, logging or cold junction compensation.
The voltage at the point 1 of R4 will be :Vo=( 1+ ( 10K/22K)) * Vref = 3.63V as nominal Vref is
2.5V.AD590 is a current source which gives 1 uA / kelvin, It is independent of the voltage across the device. you can treat it like a current source or sink or impedance. total voltage across AD590 is 5V as opamp pin 2 is at virtual ground.
Analog Circuits – OpAmp, Signal Condition, Mixed Signal.
This is the way you try to understand the design.
The AD590, here is a constant current sink as cathode goes to -5. The current it sucks away or drains from node pin 2 of OP07 is 1uA/ kelvin. at 0 deg C the current drained is 273 uA at 26 deg C it is 300uA.
You know according to theory that the amount of current entering the node, is equal to the amount of current leaving the node. do not look at voltages now, look at the currents. the AD590 drinks 273uA from Node pin 2 of OP07 at 0 deg C. Now no current can come from opamp OP07 pin 2 as resistance is in giga ohms and leakage in pico amps. now the pot R5 and resistor R4 are just in series and connected to 3.63 V as established earlier. The TL431 is a shunt regulator with reference and has a low impedence. Now the R5 + R4 combination should not load the TL431, that is not the case as 3.6 / 10K = 360uA .
By varying R5 pot you can pump 3.6 / 10K = 360uA down to 130uA when R5 is max into node pin 2 of OP07. This pot will be calibrated with AD590 in ICE to give a 0 mV output of the Op07. When calibrated R5+R4 pump 273 uA into node pin 2 of op07. this is sucked away by the AD590 which is draining 273uA at 0 deg C. This leaves the pin 2 at zero potential as currents leaving = currents entering.
Now to understand the opamp functioning.
The pin 2 of opamp is a 0 potential as calculated above and pin 3 also is at zero pulled down by R7. Now as both inputs are at same potential the output of opamp also is zero. The feedback resistors R1 and R2 will carry no current as both their ends are at 0. the Vout is now 0 mV and AD590 is on a block of ICE and opamp is stable.
If pin 2 (-) becomes more dominant or positive than pin 3 (+) the output swings negative. If pin 3 (+) becomes more dominant or positive than pin 2 (-) the output swings positive. The opamp on feedback tries to maintain both the inputs at the same potential. This thumb rule can be used to make opamp oscillate, amplify or compute.
Now what happens when the AD590 is removed from the block of ICE. It comes to room temperature say 26 deg C which means 300uA. Now the AD590 demands to draw 300uA from node pin 2 of OP07. The R4 + R5 from 3.6 V can give 273uA as it is fixed, not a uA more. The rest which is 300 – 273 = 27uA leads to a drop in potential at pin 2 and it turns negative. as demand is greater than supply. which makes pin 3 which is at zero more positive than pin 2. ( theory : 0 is positive compared to -1) as pin 3 is more dominant opamp swings positive as per thumb rule. and a current starts flowing thru R1 + R2 till the current reaches 27uA. at this point the extra current 27uA drawn by AD590 is supplied by opamp thru R1+R2. The Pin 2 now comes to 0 as currents leaving = currents entering.
Test & Measurement, Instrumentation
At this point the voltage at opamp output is given by ( R1 + R2 ) * 27uA = 270mV (assume R1+R2 is 10K after calibration) now opamp gives 10mV per deg opamp now is a closed loop control the rise and fall in temperature, results in AD590 current variation which produces a proportional OP07 output.
Now the explanation above is in steps but all that happens in real time in an instant.